Dear friend,
In these times when the Ethiopian “final offensive” against Tigray seems to have failed, there may be some hope for negotiations and lifting the siege on Tigray. People there live in famine conditions (section
2) and are far from recovering from the numerous massacres, many of which have even not been documented. We tried to contribute to this documentation effort by preparing an interactive database that can be
freely consulted online (section 1). We bring sad news, again, from universities in Tigray and Amhara region (section
3). Finally, we reflect on “bothsidesism” – a worrisome tendency in some media and international organisations (section
4), dangerous rhetoric in social media (section
5), and publish a usual shortlist of interesting media articles (section
6) and opinion pieces (section
Thanks to funding from “Every Casualty Counts”, we could bring the database of civilian victims of
the Tigray war online. Follow this link:
In the online database, lists of massacres and victims can be consulted based on location or a description of the incident. We count on our readers to visit the site and share the link through email, social media, etc.
It may be interesting to contrast this database with the findings of the joint EHRC-OHCHR investigation, bound to be made public on 3 November in the afternoon.
Further reading:
I happened to come across this news item that was originally broadcast by Tigrai TV, in early July.
It shows a farmer in Esret (woreda Saharti) ploughing with two donkeys. One can only do that in a sandy environment or on other soft soil. Not every farmer would be able to control his donkeys like this man is doing and have
them walking in a regular way. Ploughing in July is so late and at this pace, the farmer cannot plough and sow his land timely… Many surrounding lands in the film were unploughed and will not give any yield this year. The journalist takes care not to interrupt
the farmer’s activity and walks with him. The man tells that all oxen in their village have been killed by Eritrean soldiers, and the donkeys were stolen. In Esret, at least 37 civilians have been killed by Ethiopian and Eritrean soldiers in February-March
2021 (massacres N° 292 and 359 in the online database). This farmer took his donkeys to the mountains to carry food while they were hiding for warfare, and, luckily, they have not been looted.
Further reading:
The Ethiopian Ministry of Education had already stopped transferring budgets to the four universities in Tigray (in Mekelle, Aksum, Adigrat and Raya), but now we learned that these institutions have been formally closed
-- Data records, as found in the file --
┌──
A 36-piece molecular cluster, H72O36 overall in a non-equilibrium geometry, computed with the ωB97M-V functional and the def2-TZVPD basis.

Frontier orbital gap in eV: 10.40
Energy above the lowest of the compared OMol25 structures with the same formula, charge and spin in kJ/mol: 103.63
LUMO level in eV: -0.109
HOMO in eV: -10.5

Atoms and positions in Å:
O  1.743  3.171  -2.962
O  1.511  -0.617  3.795
O  -0.776  0.323  -2.648
O  -1.085  3.628  -2.232
O  -2.254  6.180  -0.755
O  -0.811  -0.297  -5.389
O  4.239  0.192  -1.710
O  -4.778  0.320  -1.487
O  -0.913  3.990  1.057
O  2.673  -2.954  -4.060
O  -0.225  1.135  5.119
O  2.537  -2.489  0.577
O  -0.085  -4.002  0.616
O  -4.357  4.052  0.738
O  0.987  -0.146  0.984
O  5.641  -2.387  0.010
O  -3.162  -3.083  0.738
O  0.109  -2.457  -3.924
O  2.033  0.000  -3.686
O  -2.113  -4.217  3.273
O  1.654  2.272  2.462
O  -1.880  1.702  -0.359
O  -5.133  1.467  1.015
O  4.997  -4.517  -1.621
O  -1.159  -2.272  -1.416
O  -1.719  -0.604  1.147
O  -3.713  2.710  -3.449
O  -1.627  -0.979  4.021
O  5.455  -0.900  -4.133
O  -3.538  0.521  3.019
O  2.868  1.376  5.249
O  3.044  2.354  -0.331
O  0.629  -3.460  3.283
O  -1.563  2.765  3.485
O  5.537  -1.047  2.799
O  -3.969  -2.466  -2.371
H  3.454  -0.083  -2.196
H  0.962  -2.602  3.541
H  2.801  -3.824  -3.594
H  -0.639  -2.920  -0.965
H  1.097  0.031  -3.362
H  -2.208  -4.841  3.965
H  5.162  -0.338  -3.390
H  -0.835  1.128  -2.144
H  -1.453  -0.847  2.056
H  -1.061  3.029  -1.478
H  -1.303  3.191  0.704
H  -2.548  -0.618  4.057
H  5.755  -0.602  3.618
H  3.499  -2.495  0.440
H  2.780  2.603  0.620
H  -2.055  5.778  -1.612
H  -4.674  -0.671  -1.698
H  0.088  -0.386  0.675
H  -1.309  -0.378  4.708
H  -4.714  0.688  -2.393
H  2.543  1.810  4.417
H  -0.818  -4.578  0.916
H  2.325  3.818  -3.507
H  -1.045  -0.396  -2.021
H  2.410  2.823  -0.916
H  -1.016  -2.480  -2.382
H  -5.270  1.300  0.056
H  5.649  -0.317  -4.877
H  1.960  -0.424  -4.539
H  -1.097  -0.046  -4.523
H  -3.936  3.605  -3.143
H  -1.628  -0.170  -5.914
H  3.471  -2.390  -3.908
H  3.972  1.050  -1.351
H  1.110  -2.611  -3.956
H  -2.626  -3.376  1.453
H  -0.081  -1.953  -4.739
H  -2.128  -1.329  0.632
H  -1.682  3.678  3.634
H  -3.055  -2.396  -1.998
H  -5.244  2.393  1.070
H  -1.300  -3.727  3.425
H  -4.205  -3.292  -2.051
H  -4.049  4.908  0.455
H  1.394  1.399  1.970
H  -2.726  2.549  -3.321
H  -2.790  0.218  2.472
H  5.866  -2.024  0.910
H  -3.599  3.470  0.420
H  0.303  -3.691  1.437
H  5.295  -3.881  -0.972
H  -2.710  6.990  -0.907
H  1.619  -0.779  0.625
H  -2.376  2.233  3.347
H  0.780  -0.061  4.225
H  -1.823  0.871  0.205
H  5.564  -4.311  -2.377
H  -0.583  1.748  4.474
H  -4.153  0.728  2.263
H  2.485  0.539  5.182
H  1.360  -0.670  2.852
H  -2.791  1.645  -0.718
H  1.413  -4.005  3.272
H  4.568  -0.981  2.767
H  0.105  1.616  5.802
H  2.173  -3.023  -0.134
H  -0.208  3.469  -2.620
H  -4.077  -3.137  1.063
H  -1.244  4.653  0.417
H  1.955  2.259  -3.270
H  0.841  2.766  2.496
└──
and that the students were instructed to report to other universities in Ethiopia.
On 21 October, two Wollo University lecturers of Tigrayan origin were killed in Dessie. They were lynched by a mob, mobilised by the Amhara fano militias. The reliable Tigrayan news site Tghat, mentions that several of
their Wollo University colleagues participated in that lynching mob ☹ (
Numerous other Tigrayan colleagues who work in universities of the Amhara region were arrested and are kept in custody.
See this article by Medhanie Gaim and Temesgen Kahsay, published on 27 October 2021:
Whataboutism and Bothsidesism in the War on Tigray - In my view “bothsidesism” seems
an easy trick, essentially avoiding to analyse what is going on, on the ground, and protecting the main perpetrators… Paraphrasing Samuel Gebru (,
one wouldn’t “both sides” the Jewish, Bosnian, Native American, Armenian, Uyghur, Tutsi, and Rohingya genocides. Then
why apply it to Tigray? Our database (see section 1) contains 262 massacres, including some attributed to the Tigray Defence Forces. One cannot
exclude that some members of the Tigray forces may have committed war crimes, in revenge of what happened in their village for example. Yet, it certainly is in a different order of magnitude. Also, on the side of Ethiopian and Amhara authorities, the orders
come from the top – think about years old dehumanisation (“daytime hyenas”, “gorillas”, “cancer”, “weeds”, …), the open calls for genocide and the greenlighting of rape, mentioned in our earlier newsletters. “Bothsidesism” is an abolition of judgement, which
plays in favour of fanatised genociders, taken out of reality, and who try to win time and confuse the minds by any means.
Yesterday evening I received this message from a colleague at Addis Ababa University: “Here it is state of emergency, and the government may forcibly recruit anyone for the army. Addis is completely deserted at 9:30 PM”.
News is also coming in of massive arrestations of civilian Tigrayans throughout the country. Such ethnic targeting is sustained by spreading of rumours through social media. One of the latest: “the 3% Tigrayan residents of Dessie would have defeated the Ethiopian
army and fano militias and opened the way for the TDF”.
Unfortunately, some international supporters of the war against Tigray participate in spreading this dangerous rhetoric, such as Prof. Jon Abbink (African Studies Centre Leiden, The Netherlands) – see
An interesting discussion has developed on such lies that lead to dangerous ethnic tensions – see Conclusion of one of the participants in that discussion: “So basically yet
another stab in the back myth. Why bother coming to terms with the reality that the military force you support lost a fight when you can just blame a convenient scapegoat for that defeat.”
Further reading:
Best greetings,
Jan Nyssen
Professor of Physical Geography
Department of Geography
Ghent University
(0032) 9 264 46 23